┌──
No. 1
# Al2Zn39Pd9

Crystalline Al2Zn39Pd9 at its relaxed geometry (PBE, the Materials Project).

- Final energy: -2.367 eV/atom
- Size of the total moment: 0.00 Bohr magnetons per cell

a b c (Å): 12.872 12.872 12.872
angles (deg): 60.00 60.00 60.00
Sites, in units of the cell vectors:
Al  0.445  0.445  0.445
Al  0.445  0.445  0.666
Al  0.445  0.666  0.445
Al  0.666  0.445  0.445
Zn  0.020  0.020  0.292
Zn  0.020  0.020  0.669
Zn  0.020  0.292  0.020
Zn  0.020  0.292  0.669
Zn  0.020  0.669  0.020
Zn  0.020  0.669  0.292
Zn  0.053  0.418  0.764
Zn  0.053  0.764  0.418
Zn  0.053  0.764  0.764
Zn  0.054  0.054  0.054
Zn  0.054  0.054  0.838
Zn  0.054  0.838  0.054
Zn  0.071  0.071  0.429
Zn  0.071  0.429  0.071
Zn  0.071  0.429  0.429
Zn  0.090  0.303  0.303
Zn  0.178  0.178  0.822
Zn  0.178  0.822  0.178
Zn  0.178  0.822  0.822
Zn  0.188  0.524  0.524
Zn  0.188  0.524  0.764
Zn  0.188  0.764  0.524
Zn  0.278  0.278  0.531
Zn  0.278  0.278  0.913
Zn  0.278  0.531  0.278
Zn  0.278  0.531  0.913
Zn  0.278  0.913  0.278
Zn  0.278  0.913  0.531
Zn  0.292  0.020  0.020
Zn  0.292  0.020  0.669
Zn  0.292  0.669  0.020
Zn  0.303  0.090  0.303
Zn  0.303  0.303  0.090
Zn  0.303  0.303  0.303
Zn  0.418  0.053  0.764
Zn  0.418  0.764  0.053
Zn  0.418  0.764  0.764
Zn  0.429  0.071  0.071
Zn  0.429  0.071  0.429
Zn  0.429  0.429  0.071
Zn  0.524  0.188  0.524
Zn  0.524  0.188  0.764
Zn  0.524  0.524  0.188
Zn  0.524  0.524  0.764
Zn  0.524  0.764  0.188
Zn  0.524  0.764  0.524
Zn  0.531  0.278  0.278
Zn  0.531  0.278  0.913
Zn  0.531  0.913  0.278
Zn  0.569  0.569  0.931
Zn  0.569  0.931  0.569
Zn  0.569  0.931  0.931
Zn  0.575  0.808  0.808
Zn  0.669  0.020  0.020
Zn  0.669  0.020  0.292
Zn  0.669  0.292  0.020
Zn  0.764  0.053  0.418
Zn  0.764  0.053  0.764
Zn  0.764  0.188  0.524
Zn  0.764  0.418  0.053
Zn  0.764  0.418  0.764
Zn  0.764  0.524  0.188
Zn  0.764  0.524  0.524
Zn  0.764  0.764  0.053
Zn  0.764  0.764  0.418
Zn  0.808  0.575  0.808
Zn  0.808  0.808  0.575
Zn  0.808  0.808  0.808
Zn  0.822  0.178  0.178
Zn  0.822  0.178  0.822
Zn  0.822  0.822  0.178
Zn  0.838  0.054  0.054
Zn  0.913  0.278  0.278
Zn  0.913  0.278  0.531
Zn  0.913  0.531  0.278
Zn  0.931  0.569  0.569
Zn  0.931  0.569  0.931
Zn  0.931  0.931  0.569
Pd  0.001  0.666  0.666
Pd  0.163  0.163  0.163
Pd  0.163  0.163  0.512
Pd  0.163  0.512  0.163
Pd  0.266  0.911  0.911
Pd  0.324  0.324  0.676
Pd  0.324  0.676  0.324
Pd  0.324  0.676  0.676
Pd  0.512  0.163  0.163
Pd  0.666  0.001  0.666
Pd  0.666  0.666  0.001
Pd  0.666  0.666  0.666
Pd  0.676  0.324  0.324
Pd  0.676  0.324  0.676
Pd  0.676  0.676  0.324
Pd  0.911  0.266  0.911
Pd  0.911  0.911  0.266
Pd  0.911  0.911  0.911



No. 2
# Ti2AlFe

Crystalline Ti2AlFe at its relaxed geometry (PBE, the Materials Project).

- Final energy: -7.234 eV/atom
- Size of the total moment: 1.00 Bohr magnetons per cell

a b c (Å): 4.331 4.331 4.331
angles (deg): 60.00 60.00 60.00
Sites, in units of the cell vectors:
Ti  0.000  0.000  0.000
Ti  0.250  0.250  0.250
Al  0.500  0.500  0.500
Fe  0.750  0.750  0.750



No. 3
# SmCrGe3

Crystalline SmCrGe3 at its relaxed geometry (PBE, the Materials Project).

- Final energy: -6.032 eV/atom
- Size of the total moment: 2.77 Bohr magnetons per cell

a b c (Å): 6.133 6.133 5.714
angles (deg): 90.00 90.00 120.00
Sites, in units of the cell vectors:
Sm  0.333  0.667  0.250
Sm  0.667  0.333  0.750
Cr  0.000  0.000  0.000
Cr  0.000  0.000  0.500
Ge  0.192  0.385  0.750
Ge  0.192  0.808  0.750
Ge  0.385  0.192  0.250
Ge  0.615  0.808  0.750
Ge  0.808  0.192  0.250
Ge  0.808  0.615  0.250



No. 4
# Sc4Ti3O12

Crystalline Sc4Ti3O12 at its relaxed geometry (PBE, the Materials Project).

- Relative energy among the computed polymorphs: 0.00 kcal/mol of atoms
- Final energy: -8.995 eV/atom
- Size of the total moment: 0.00 Bohr magnetons per cell

a b c (Å): 5.923 6.089 12.159
angles (deg): 99.42 99.73 98.61
Sites, in units of the cell vectors:
Sc  0.115  0.137  0.407
Sc  0.195  0.386  0.682
└──

Next, write out all of the listing further up with every line break kept.

No. 1
# Al2Zn39Pd9

Crystalline Al2Zn39Pd9 at its relaxed geometry (PBE, the Materials Project).

- Final energy: -2.367 eV/atom
- Size of the total moment: 0.00 Bohr magnetons per cell

a b c (Å): 12.872 12.872 12.872
angles (deg): 60.00 60.00 60.00
Sites, in units of the cell vectors:
Al  0.445  0.445  0.445
Al  0.445  0.445  0.666
Al  0.445  0.666  0.445
Al  0.666  0.445  0.445
Zn  0.020  0.020  0.292
Zn  0.020  0.020  0.669
Zn  0.020  0.292  0.020
Zn  0.020  0.292  0.669
Zn  0.020  0.669  0.020
Zn  0.020  0.669  0.292
Zn  0.053  0.418  0.764
Zn  0.053  0.764  0.418
Zn  0.053  0.764  0.764
Zn  0.054  0.054  0.054
Zn  0.054  0.054  0.838
Zn  0.054  0.838  0.054
Zn  0.071  0.071  0.429
Zn  0.071  0.429  0.071
Zn  0.071  0.429  0.429
Zn  0.090  0.303  0.303
Zn  0.178  0.178  0.822
Zn  0.178  0.822  0.178
Zn  0.178  0.822  0.822
Zn  0.188  0.524  0.524
Zn  0.188  0.524  0.764
Zn  0.188  0.764  0.524
Zn  0.278  0.278  0.531
Zn  0.278  0.278  0.913
Zn  0.278  0.531  0.278
Zn  0.278  0.531  0.913
Zn  0.278  0.913  0.278
Zn  0.278  0.913  0.531
Zn  0.292  0.020  0.020
Zn  0.292  0.020  0.669
Zn  0.292  0.669  0.020
Zn  0.303  0.090  0.303
Zn  0.303  0.303  0.090
Zn  0.303  0.303  0.303
Zn  0.418  0.053  0.764
Zn  0.418  0.764  0.053
Zn  0.418  0.764  0.764
Zn  0.429  0.071  0.071
Zn  0.429  0.071  0.429
Zn  0.429  0.429  0.071
Zn  0.524  0.188  0.524
Zn  0.524  0.188  0.764
Zn  0.524  0.524  0.188
Zn  0.524  0.524  0.764
Zn  0.524  0.764  0.188
Zn  0.524  0.764  0.524
Zn  0.531  0.278  0.278
Zn  0.531  0.278  0.913
Zn  0.531  0.913  0.278
Zn  0.569  0.569  0.931
Zn  0.569  0.931  0.569
Zn  0.569  0.931  0.931
Zn  0.575  0.808  0.808
Zn  0.669  0.020  0.020
Zn  0.669  0.020  0.292
Zn  0.669  0.292  0.020
Zn  0.764  0.053  0.418
Zn  0.764  0.053  0.764
Zn  0.764  0.188  0.524
Zn  0.764  0.418  0.053
Zn  0.764  0.418  0.764
Zn  0.764  0.524  0.188
Zn  0.764  0.524  0.524
Zn  0.764  0.764  0.053
Zn  0.764  0.764  0.418
Zn  0.808  0.575  0.808
Zn  0.808  0.808  0.575
Zn  0.808  0.808  0.808
Zn  0.822  0.178  0.178
Zn  0.822  0.178  0.822
Zn  0.822  0.822  0.178
Zn  0.838  0.054  0.054
Zn  0.913  0.278  0.278
Zn  0.913  0.278  0.531
Zn  0.913  0.531  0.278
Zn  0.931  0.569  0.569
Zn  0.931  0.569  0.931
Zn  0.931  0.931  0.569
Pd  0.001  0.666  0.666
Pd  0.163  0.163  0.163
Pd  0.163  0.163  0.512
Pd  0.163  0.512  0.163
Pd  0.266  0.911  0.911
Pd  0.324  0.324  0.676
Pd  0.324  0.676  0.324
Pd  0.324  0.676  0.676
Pd  0.512  0.163  0.163
Pd  0.666  0.001  0.666
Pd  0.666  0.666  0.001
Pd  0.666  0.666  0.666
Pd  0.676  0.324  0.324
Pd  0.676  0.324  0.676
Pd  0.676  0.676  0.324
Pd  0.911  0.266  0.911
Pd  0.911  0.911  0.266
Pd  0.911  0.911  0.911



No. 2
# Ti2AlFe

Crystalline Ti2AlFe at its relaxed geometry (PBE, the Materials Project).

- Final energy: -7.234 eV/atom
- Size of the total moment: 1.00 Bohr magnetons per cell

a b c (Å): 4.331 4.331 4.331
angles (deg): 60.00 60.00 60.00
Sites, in units of the cell vectors:
Ti  0.000  0.000  0.000
Ti  0.250  0.250  0.250
Al  0.500  0.500  0.500
Fe  0.750  0.750  0.750



No. 3
# SmCrGe3

Crystalline SmCrGe3 at its relaxed geometry (PBE, the Materials Project).

- Final energy: -6.032 eV/atom
- Size of the total moment: 2.77 Bohr magnetons per cell

a b c (Å): 6.133 6.133 5.714
angles (deg): 90.00 90.00 120.00
Sites, in units of the cell vectors:
Sm  0.333  0.667  0.250
Sm  0.667  0.333  0.750
Cr  0.000  0.000  0.000
Cr  0.000  0.000  0.500
Ge  0.192  0.385  0.750
Ge  0.192  0.808  0.750
Ge  0.385  0.192  0.250
Ge  0.615  0.808  0.750
Ge  0.808  0.192  0.250
Ge  0.808  0.615  0.250



No. 4
# Sc4Ti3O12

Crystalline Sc4Ti3O12 at its relaxed geometry (PBE, the Materials Project).

- Relative energy among the computed polymorphs: 0.00 kcal/mol of atoms
- Final energy: -8.995 eV/atom
- Size of the total moment: 0.00 Bohr magnetons per cell

a b c (Å): 5.923 6.089 12.159
angles (deg): 99.42 99.73 98.61
Sites, in units of the cell vectors:
Sc  0.115  0.137  0.407
Sc  0.195  0.386  0.682